Material
........
# 1
Structure and simulated powder XRD pattern of CrH12Cl3O6 (DFT lattice parameters and positions (GGA+U); CuKα).

Atomic structure:
```
data_CrH12Cl3O6
_chemical_formula_sum 'Cr6 H72 Cl18 O36'
_cell_length_a 12.0469
_cell_length_b 12.0469
_cell_length_c 12.1225
_cell_angle_alpha 90.00
_cell_angle_beta 90.00
_cell_angle_gamma 120.00
_symmetry_space_group_name_H-M 'R -3 c'
_symmetry_Int_Tables_number 167
_symmetry_space_group_name_Hall '-R 3 2"c'
loop_
_atom_site_label
_atom_site_type_symbol
_atom_site_fract_x
_atom_site_fract_y
_atom_site_fract_z
_atom_site_occupancy
Cr1 Cr 0.0000 0.0000 0.0000 1
H1 H 0.0012 0.2062 0.0919 1
H2 H 0.0728 0.1906 0.6463 1
Cl1 Cl 0.0000 0.2712 0.7500 1
O1 O 0.0410 0.1505 0.0967 1
```

Peak list (10 most intense, 2θ from 5° to 70°, in order of rising 2θ)
hkl  2theta  I/Imax
1 1 0  14.71  58
0 1 2  16.92  55
2 0 2  22.49  45
3 0 0  25.62  44
1 1 3  26.56  100
1 2 2  26.97  93
3 2 1  38.33  41
2 3 2  40.52  33
1 3 4  43.23  55
1 5 2  51.01  26



# 2
Structure and simulated powder XRD pattern of AcHgMo2O7 (DFT lattice parameters and positions (GGA+U); CuKα).

Atomic structure:
```
data_AcHgMo2O7
_chemical_formula_sum 'Ac1 Hg1 Mo2 O7'
_cell_length_a 3.926
_cell_length_b 3.926
_cell_length_c 13.085
_cell_angle_alpha 90.00
_cell_angle_beta 90.00
_cell_angle_gamma 90.00
_symmetry_space_group_name_H-M 'P 4/m m m'
_symmetry_Int_Tables_number 123
_symmetry_space_group_name_Hall '-P 4 2'
loop_
_atom_site_label
_atom_site_type_symbol
_atom_site_fract_x
_atom_site_fract_y
_atom_site_fract_z
_atom_site_occupancy
Ac1 Ac 0.000 0.000 0.000 1
Hg1 Hg 0.000 0.000 0.500 1
Mo1 Mo 0.500 0.500 0.178 1
O1 O 0.000 0.500 0.145 1
O2 O 0.500 0.500 0.000 1
O3 O 0.500 0.500 0.308 1
```

Peak list (10 most intense, 2θ from 5° to 70°, in order of rising 2θ)
hkl  2theta  I/Imax
0 0 1  6.76  46
0 0 2  13.53  27
1 0 2  26.48  100
1 1 0  32.24  36
1 1 2  35.11  15
1 0 4  35.73  31
1 1 4  42.72  19
2 0 0  46.24  19
1 1 6  53.43  17
2 1 2  54.08  28

----------

Calculated XRD peak list
Compound: La4CuNiO8
Radiation: Cu Kα X-rays
Structure: a cell relaxed with PBE+U
No peak broadening, texture or thermal motion is included.

Principal peaks in the range 2θ = 5–70°, low angle first:
2theta  I (rel.)  h k l
23.92  30  0 0 2
27.58  17  4 0 0
30.81  35  2 0 2
30.99  72  3 1 0
31.31  38  4 0 -2
32.68  100  1 1 -2
41.93  29  6 0 0
43.02  20  3 1 2
43.52  19  5 1 -2
46.78  26  0 2 0
47.00  24  2 0 -4
57.06  24  2 2 2

Crystal structure
```
data_La4CuNiO8
_cell_length_a 13.447
_cell_length_b 3.884
_cell_length_c 7.734
_cell_angle_alpha 90.00
_cell_angle_beta 105.81
_cell_angle_gamma 90.00
_symmetry_space_group_name_H-M 'C 1 2/m 1'
_symmetry_Int_Tables_number 12
loop_
_symmetry_equiv_pos_as_xyz
'x,y,z'
'-x,-y,-z'
'-x,y,-z'
'x,-y,z'
'x+1/2,y+1/2,z'
'-x+1/2,-y+1/2,-z'
'-x+1/2,y+1/2,-z'
'x+1/2,-y+1/2,z'
loop_
_atom_site_label
_atom_site_fract_x
_atom_site_fract_y
_atom_site_fract_z
La1 0.132 0.000 0.307
La2 0.145 0.000 0.818
Cu1 0.000 0.500 0.500
Ni1 0.000 0.500 0.000
O1 0.000 0.000 0.000
O2 0.000 0.000 0.500
O3 0.015 0.500 0.263
O4 0.173 0.500 0.067
O5 0.193 0.500 0.635
```

----------

1.
Diffraction record for Li4CrFe2Ni3P6O24. The powder diffraction line list is theoretical, not measured: it uses a DFT-relaxed cell (PBE+U, the Materials Project) and Cu Kα (λ = 1.5418 Å).

Structure:
Cell lengths 8.343, 8.418, 8.423 Å; angles 63.42, 63.77, 63.84 degrees
Element x y z (fractional)
Li1 0.000 0.000 0.000
Li2 0.106 0.499 0.915
Li3 0.517 0.710 0.291
Li4 0.893 0.122 0.502
Cr1 0.106 0.708 0.501
Fe1 0.264 0.858 0.643
Fe2 0.738 0.356 0.145
Ni1 0.391 0.003 0.792
Ni2 0.605 0.209 0.996
Ni3 0.896 0.503 0.296
P1 0.194 0.102 0.189
P2 0.301 0.604 0.096
P3 0.496 0.400 0.598
P4 0.697 0.907 0.397
P5 0.801 0.809 0.894
P6 0.998 0.305 0.696
O1 0.003 0.776 0.741
O2 0.064 0.466 0.659
O3 0.144 0.107 0.723
O4 0.149 0.529 0.127
O5 0.174 0.952 0.393
O6 0.207 0.036 0.043
O7 0.264 0.668 0.257
O8 0.306 0.763 0.908
O9 0.347 0.605 0.569
O10 0.359 0.161 0.146
........
Job
It remains to echo everything above unchanged.
Outcome
# 1
Structure and simulated powder XRD pattern of CrH12Cl3O6 (DFT lattice parameters and positions (GGA+U); CuKα).

Atomic structure:
```
data_CrH12Cl3O6
_chemical_formula_sum 'Cr6 H72 Cl18 O36'
_cell_length_a 12.0469
_cell_length_b 12.0469
_cell_length_c 12.1225
_cell_angle_alpha 90.00
_cell_angle_beta 90.00
_cell_angle_gamma 120.00
_symmetry_space_group_name_H-M 'R -3 c'
_symmetry_Int_Tables_number 167
_symmetry_space_group_name_Hall '-R 3 2"c'
loop_
_atom_site_label
_atom_site_type_symbol
_atom_site_fract_x
_atom_site_fract_y
_atom_site_fract_z
_atom_site_occupancy
Cr1 Cr 0.0000 0.0000 0.0000 1
H1 H 0.0012 0.2062 0.0919 1
H2 H 0.0728 0.1906 0.6463 1
Cl1 Cl 0.0000 0.2712 0.7500 1
O1 O 0.0410 0.1505 0.0967 1
```

Peak list (10 most intense, 2θ from 5° to 70°, in order of rising 2θ)
hkl  2theta  I/Imax
1 1 0  14.71  58
0 1 2  16.92  55
2 0 2  22.49  45
3 0 0  25.62  44
1 1 3  26.56  100
1 2 2  26.97  93
3 2 1  38.33  41
2 3 2  40.52  33
1 3 4  43.23  55
1 5 2  51.01  26



# 2
Structure and simulated powder XRD pattern of AcHgMo2O7 (DFT lattice parameters and positions (GGA+U); CuKα).

Atomic structure:
```
data_AcHgMo2O7
_chemical_formula_sum 'Ac1 Hg1 Mo2 O7'
_cell_length_a 3.926
_cell_length_b 3.926
_cell_length_c 13.085
_cell_angle_alpha 90.00
_cell_angle_beta 90.00
_cell_angle_gamma 90.00
_symmetry_space_group_name_H-M 'P 4/m m m'
_symmetry_Int_Tables_number 123
_symmetry_space_group_name_Hall '-P 4 2'
loop_
_atom_site_label
_atom_site_type_symbol
_atom_site_fract_x
_atom_site_fract_y
_atom_site_fract_z
_atom_site_occupancy
Ac1 Ac 0.000 0.000 0.000 1
Hg1 Hg 0.000 0.000 0.500 1
Mo1 Mo 0.500 0.500 0.178 1
O1 O 0.000 0.500 0.145 1
O2 O 0.500 0.500 0.000 1
O3 O 0.500 0.500 0.308 1
```

Peak list (10 most intense, 2θ from 5° to 70°, in order of rising 2θ)
hkl  2theta  I/Imax
0 0 1  6.76  46
0 0 2  13.53  27
1 0 2  26.48  100
1 1 0  32.24  36
1 1 2  35.11  15
1 0 4  35.73  31
1 1 4  42.72  19
2 0 0  46.24  19
1 1 6  53.43  17
2 1 2  54.08  28

----------

Calculated XRD peak list
Compound: La4CuNiO8
Radiation: Cu Kα X-rays
Structure: a cell relaxed with PBE+U
No peak broadening, texture or thermal motion is included.

Principal peaks in the range 2θ = 5–70°, low angle first:
2theta  I (rel.)  h k l
23.92  30  0 0 2
27.58  17  4 0 0
30.81  35  2 0 2
30.99  72  3 1 0
31.31  38  4 0 -2
32.68  100  1 1 -2
41.93  29  6 0 0
43.02  20  3 1 2
43.52  19  5 1 -2
46.78  26  0 2 0
47.00  24  2 0 -4
57.06  24  2 2 2

Crystal structure
```
data_La4CuNiO8
_cell_length_a 13.447
_cell_length_b 3.884
_cell_length_c 7.734
_cell_angle_alpha 90.00
_cell_angle_beta 105.81
_cell_angle_gamma 90.00
_symmetry_space_group_name_H-M 'C 1 2/m 1'
_symmetry_Int_Tables_number 12
loop_
_symmetry_equiv_pos_as_xyz
'x,y,z'
'-x,-y,-z'
'-x,y,-z'
'x,-y,z'
'x+1/2,y+1/2,z'
'-x+1/2,-y+1/2,-z'
'-x+1/2,y+1/2,-z'
'x+1/2,-y+1/2,z'
loop_
_atom_site_label
_atom_site_fract_x
_atom_site_fract_y
_atom_site_fract_z
La1 0.132 0.000 0.307
La2 0.145 0.000 0.818
Cu1 0.000 0.500 0.500
Ni1 0.000 0.500 0.000
O1 0.000 0.000 0.000
O2 0.000 0.000 0.500
O3 0.015 0.500 0.263
O4 0.173 0.500 0.067
O5 0.193 0.500 0.635
```

----------

1.
Diffraction record for Li4CrFe2Ni3P6O24. The powder diffraction line list is theoretical, not measured: it uses a DFT-relaxed cell (PBE+U, the Materials Project) and Cu Kα (λ = 1.5418 Å).

Structure:
Cell lengths 8.343, 8.418, 8.423 Å; angles 63.42, 63.77, 63.84 degrees
Element x y z (fractional)
Li1 0.000 0.000 0.000
Li2 0.106 0.499 0.915
Li3 0.517 0.710 0.291
Li4 0.893 0.122 0.502
Cr1 0.106 0.708 0.501
Fe1 0.264 0.858 0.643
Fe2 0.738 0.356 0.145
Ni1 0.391 0.003 0.792
Ni2 0.605 0.209 0.996
Ni3 0.896 0.503 0.296
P1 0.194 0.102 0.189
P2 0.301 0.604 0.096
P3 0.496 0.400 0.598
P4 0.697 0.907 0.397
P5 0.801 0.809 0.894
P6 0.998 0.305 0.696
O1 0.003 0.776 0.741
O2 0.064 0.466 0.659
O3 0.144 0.107 0.723
O4 0.149 0.529 0.127
O5 0.174 0.952 0.393
O6 0.207 0.036 0.043
O7 0.264 0.668 0.257
O8 0.306 0.763 0.908
O9 0.347 0.605 0.569
O10 0.359 0.161 0.146